File:
+++
InGaAg2Se4 | PBE | optimized geometry

For the formation energy, the calculation gives -0.67 eV per atom.

It has space group I-4 (No. 82), with a = 6.129 Å, b = 6.129 Å, c = 11.664 Å, α = 90.00°, β = 90.00° and γ = 90.00°. The distinct sites, in fractional coordinates, are In at (0.000, 0.000, 0.000), Ga at (0.000, 0.500, 0.750), Ag at (0.000, 0.000, 0.500), Ag at (0.000, 0.500, 0.250) and Se at (0.233, 0.264, 0.869).

***

InGa2Ag3Se6 | PBE | optimized geometry

For the formation energy, the calculation gives -0.68 eV per atom.

It has space group I-4 (No. 82), with a = 6.107 Å, b = 6.107 Å, c = 34.630 Å, α = 90.00°, β = 90.00° and γ = 90.00°. The distinct sites, in fractional coordinates, are In at (0.000, 0.000, 0.166), Ga at (0.000, 0.000, 0.500), Ga at (0.000, 0.500, 0.081), Ga at (0.000, 0.500, 0.750), Ag at (0.000, 0.000, 0.000), Ag at (0.000, 0.000, 0.334), Ag at (0.000, 0.500, 0.250), Ag at (0.000, 0.500, 0.582), Se at (0.221, 0.750, 0.459), Se at (0.231, 0.737, 0.122) and Se at (0.234, 0.736, 0.790).

***

InGaAg2Te2Se2 | PBE | optimized geometry

For the formation energy, the calculation gives -0.47 eV per atom.

It has space group C2 (No. 5), with a = 8.946 Å, b = 12.133 Å, c = 6.305 Å, α = 90.00°, β = 134.75° and γ = 90.00°. The distinct sites, in fractional coordinates, are In at (0.000, 0.000, 0.000), Ga at (0.000, 0.769, 0.500), Ag at (0.000, 0.263, 0.500), Ag at (0.000, 0.504, 0.000), Te at (0.238, 0.640, 0.495) and Se at (0.231, 0.879, 0.968).

***

InGaAg2Te4 | PBE | optimized geometry

For the formation energy, the calculation gives -0.50 eV per atom.

It has space group I-4 (No. 82), with a = 6.503 Å, b = 6.503 Å, c = 12.625 Å, α = 90.00°, β = 90.00° and γ = 90.00°. The distinct sites, in fractional coordinates, are In at (0.000, 0.000, 0.000), Ga at (0.000, 0.500, 0.750), Ag at (0.000, 0.000, 0.500), Ag at (0.000, 0.500, 0.250) and Te at (0.238, 0.743, 0.630).

***

Lu2GaAg | PBE | optimized geometry

For the formation energy, the calculation gives -0.47 eV per atom.

It has space group Fm-3m (No. 225), with a = 7.084 Å, b = 7.084 Å, c = 7.084 Å, α = 90.00°, β = 90.00° and γ = 90.00°. The distinct sites, in fractional coordinates, are Lu at (0.250, 0.250, 0.250), Ga at (0.000, 0.000, 0.000) and Ag at (0.000, 0.000, 0.500).

***

LuGaAg | PBE | optimized geometry

For the formation energy, the calculation gives -0.45 eV per atom.

It has space group C2/m (No. 12), with a = 10.434 Å, b = 4.530 Å, c = 7.009 Å, α = 90.00°, β = 131.86° and γ = 90.00°. The distinct sites, in fractional coordinates, are Lu at (0.037, 0.000, 0.291), Ga at (0.160, 0.500, 0.117) and Ag at (0.173, 0.500, 0.721).

~~~~~

[1]
PBE+U Li4Ni7O2F14, relaxed; calculated total energy = -122.4 eV per cell; space group = C2/m
1.0
3.0246 5.1240 0.0000
-3.0246 5.1240 0.0000
0.0000 3.5268 9.9685
F O Ni Li
14 2 7 4
Cartesian
-1.6005 5.9970 6.3158
1.6005 7.7779 3.6527
-1.4951 9.6420 8.6960
1.6005 5.9970 6.3158
0.0000 1.8120 1.2255
0.0000 11.9629 8.7430
-1.6005 7.7779 3.6527
-1.4951 4.1329 1.2725
0.0000 8.6487 6.3178
0.0000 6.8022 8.8648
1.4951 4.1329 1.2725
0.0000 6.9726 1.1037
1.4951 9.6420 8.6960
0.0000 5.1262 3.6507
0.0000 10.2836 4.0490
0.0000 3.4913 5.9194
1.5123 4.3254 4.9842
0.0000 1.7634 4.9842
0.0000 3.5119 2.4146
-1.5123 2.5620 0.0000
0.0000 10.2629 7.5539
-1.5123 4.3254 4.9842
1.5123 2.5620 0.0000
0.0000 6.8562 6.9875
0.0000 10.1783 2.0894
0.0000 6.9186 2.9810
0.0000 3.5965 7.8791

***

[2]
PBE+U Fe2O3, relaxed; calculated total energy = -265.1 eV per cell; space group = P1
1.0
5.1426 0.0000 0.0000
0.0156 5.3832 0.0000
0.0037 0.1017 14.9012
Fe O
16 24
Cartesian
2.5881 1.0560 8.5317
0.0140 1.0692 13.8363
5.1376 4.0604 12.2356
2.5854 1.3988 12.2378
2.5725 4.0582 10.1446
2.5758 1.4091 4.7536
0.0211 1.3450 10.1314
0.0228 4.0757 4.8331
5.1381 3.7383 8.5239
2.5835 1.7486 1.1161
5.1537 4.4372 1.1371
2.5691 4.4271 6.3539
0.0113 1.7262 6.3365
2.5714 3.7786 13.8557
2.5824 4.1117 2.7085
0.0156 1.4205 2.6681
0.7666 3.6530 6.6593
+++
Work order:
Please repeat every line further above that contains the word "are".
Here it is:
It has space group I-4 (No. 82), with a = 6.129 Å, b = 6.129 Å, c = 11.664 Å, α = 90.00°, β = 90.00° and γ = 90.00°. The distinct sites, in fractional coordinates, are In at (0.000, 0.000, 0.000), Ga at (0.000, 0.500, 0.750), Ag at (0.000, 0.000, 0.500), Ag at (0.000, 0.500, 0.250) and Se at (0.233, 0.264, 0.869).
It has space group I-4 (No. 82), with a = 6.107 Å, b = 6.107 Å, c = 34.630 Å, α = 90.00°, β = 90.00° and γ = 90.00°. The distinct sites, in fractional coordinates, are In at (0.000, 0.000, 0.166), Ga at (0.000, 0.000, 0.500), Ga at (0.000, 0.500, 0.081), Ga at (0.000, 0.500, 0.750), Ag at (0.000, 0.000, 0.000), Ag at (0.000, 0.000, 0.334), Ag at (0.000, 0.500, 0.250), Ag at (0.000, 0.500, 0.582), Se at (0.221, 0.750, 0.459), Se at (0.231, 0.737, 0.122) and Se at (0.234, 0.736, 0.790).
It has space group C2 (No. 5), with a = 8.946 Å, b = 12.133 Å, c = 6.305 Å, α = 90.00°, β = 134.75° and γ = 90.00°. The distinct sites, in fractional coordinates, are In at (0.000, 0.000, 0.000), Ga at (0.000, 0.769, 0.500), Ag at (0.000, 0.263, 0.500), Ag at (0.000, 0.504, 0.000), Te at (0.238, 0.640, 0.495) and Se at (0.231, 0.879, 0.968).
It has space group I-4 (No. 82), with a = 6.503 Å, b = 6.503 Å, c = 12.625 Å, α = 90.00°, β = 90.00° and γ = 90.00°. The distinct sites, in fractional coordinates, are In at (0.000, 0.000, 0.000), Ga at (0.000, 0.500, 0.750), Ag at (0.000, 0.000, 0.500), Ag at (0.000, 0.500, 0.250) and Te at (0.238, 0.743, 0.630).
It has space group Fm-3m (No. 225), with a = 7.084 Å, b = 7.084 Å, c = 7.084 Å, α = 90.00°, β = 90.00° and γ = 90.00°. The distinct sites, in fractional coordinates, are Lu at (0.250, 0.250, 0.250), Ga at (0.000, 0.000, 0.000) and Ag at (0.000, 0.000, 0.500).
It has space group C2/m (No. 12), with a = 10.434 Å, b = 4.530 Å, c = 7.009 Å, α = 90.00°, β = 131.86° and γ = 90.00°. The distinct sites, in fractional coordinates, are Lu at (0.037, 0.000, 0.291), Ga at (0.160, 0.500, 0.117) and Ag at (0.173, 0.500, 0.721).